My beliefs have been formed over my lifetime, all 17 years of it. A question about my beliefs is a deep area. In our society, beliefs are very personal and there can be no right or wrong answer. This has not always been true as in some countries and at some periods in history a person was not always allowed to believe according to their own convictions. I will try to convey what I have been taught by my family and what I feel deep in my heart.
== Unrelated to this piece: crystal structures ==
=====
(1)
La5Pm6Pr: calculated X-ray diffraction stick pattern (a wavelength of 1.5418 Å), based on the PBE geometry in Alexandria.

Structure:
```
data_La5Pm6Pr
_cell_length_a 6.4109
_cell_length_b 11.1309
_cell_length_c 12.1699
_cell_angle_alpha 90.00
_cell_angle_beta 100.24
_cell_angle_gamma 90.00
_space_group_name_H-M_alt 'C 1 2/m 1'
_space_group_IT_number 12
loop_
_space_group_symop_operation_xyz
'x,y,z'
'-x,-y,-z'
'-x,y,-z'
'x,-y,z'
'x+1/2,y+1/2,z'
'-x+1/2,-y+1/2,-z'
'-x+1/2,y+1/2,-z'
'x+1/2,-y+1/2,z'
loop_
_atom_site_label
_atom_site_fract_x
_atom_site_fract_y
_atom_site_fract_z
La1 0.0000 0.0000 0.0000
La2 0.0000 0.1668 0.5000
La3 0.0000 0.3336 0.0000
Pm1 0.2493 0.3335 0.7499
Pm2 0.2499 0.0000 0.7498
Pr1 0.0000 0.5000 0.5000
```

The 6 most intense peaks (2θ from 15° to 90°), low angle first:
- hkl 1 3 1, 2θ 29.56, intensity 100
- hkl 0 0 4, 2θ 29.84, intensity 33
- hkl 2 0 2, 2θ 34.34, intensity 67
- hkl 0 6 0, 2θ 49.17, intensity 24
- hkl 1 3 5, 2θ 49.54, intensity 24
- hkl 4 0 0, 2θ 58.54, intensity 24

(2)
CdCo2NiCl: calculated X-ray diffraction stick pattern (a wavelength of 1.5418 Å), based on the PBE geometry in Alexandria.

Structure:
```
data_CdCo2NiCl
_cell_length_a 4.1451
_cell_length_b 4.1451
_cell_length_c 4.2103
_cell_angle_alpha 90.00
_cell_angle_beta 90.00
_cell_angle_gamma 90.00
_space_group_name_H-M_alt 'P 4/m m m'
_space_group_IT_number 123
_space_group_name_Hall '-P 4 2'
loop_
_atom_site_label
_atom_site_fract_x
_atom_site_fract_y
_atom_site_fract_z
Cd1 0.0000 0.0000 0.0000
Co1 0.0000 0.5000 0.5000
Ni1 0.5000 0.5000 0.0000
Cl1 0.5000 0.5000 0.5000
```

The 6 most intense peaks (2θ from 15° to 90°), low angle first:
- hkl 1 0 1, 2θ 30.26, intensity 18
- hkl 1 1 1, 2θ 37.38, intensity 100
- hkl 0 0 2, 2θ 42.96, intensity 26
- hkl 2 0 0, 2θ 43.67, intensity 50
- hkl 2 0 2, 2θ 62.93, intensity 31
- hkl 3 1 1, 2θ 76.05, intensity 22

(3)
AuBr4N: calculated X-ray diffraction stick pattern (a wavelength of 1.5418 Å), based on the PBE geometry in Alexandria.

Structure:
```
data_AuBr4N
_cell_length_a 8.1591
_cell_length_b 7.7632
_cell_length_c 12.0856
_cell_angle_alpha 90.00
_cell_angle_beta 125.55
_cell_angle_gamma 90.00
_space_group_name_H-M_alt 'P 1 21/c 1'
_space_group_IT_number 14
loop_
_space_group_symop_operation_xyz
'x,y,z'
'-x,-y,-z'
'-x,y+1/2,-z+1/2'
'x,-y+1/2,z+1/2'
loop_
_atom_site_label
_atom_site_fract_x
_atom_site_fract_y
_atom_site_fract_z
Au1 0.0000 0.0000 0.0000
Br1 0.1418 0.2483 0.6437
Br2 0.3543 0.1036 0.5565
N1 0.5000 0.0000 0.5000
```

The 6 most intense peaks (2θ from 15° to 90°), low angle first:
- hkl 1 1 -1, 2θ 15.81, intensity 100
- hkl 1 1 0, 2θ 17.58, intensity 57
- hkl 0 0 2, 2θ 18.04, intensity 54
- hkl 1 1 1, 2θ 23.10, intensity 71
- hkl 2 1 -1, 2θ 25.50, intensity 47
- hkl 2 1 -3, 2θ 27.28, intensity 43

(4)
SmB3Rh6: calculated X-ray diffraction stick pattern (a wavelength of 1.5418 Å), based on the PBE geometry in Alexandria.

Structure:
```
data_SmB3Rh6
_cell_length_a 5.5341
_cell_length_b 5.5863
=====
== The piece goes on ==
I believe all men should live in peace. I believe that we should love our neighbors as if they were in your own family. I believe we can best do this by serving them. I believe that we have an obligation to help the poor to get an education so they can have a better life. I believe that we need to look out for our fellow man/woman so no one feels alone and an outcast. I believe that no man or woman should be judged by the color of their skin nor by any other thing which makes us appear different. I believe that traveling around the world is important to allow us to understand that we are not that different and we are all part of one world.
I believe that we should respect nature and all its boundless beauty and that we should care for the planet for it does not have endless supplies. I believe that people should take time out of their days to look at the stars and ponder the true meaning of life and why we are really here. I believe that we are not the only people in this universe. I believe that someday we will know the full wonders of space.
I believe that you should follow your dreams where ever they may take you. I believe we should not smoke or drink or take any other drugs for we are healthier when we take only wholesome things into our bodies. I believe in music for it can lift your spirit. I believe in singing. I believe that we should take the time to look at the clouds and just watch nature’s wonders. I believe that ice cream is good for you and must be eaten in regular moderation. I believe in poetry and for the wonderful way it can express what is in your heart.
**Someone pasted crystal structures at this point:**
~~~
For NiP2, a GGA-PBE-relaxed structure gives the computed X-ray diffraction stick pattern in this record (a wavelength of 1.5418 Å).
Lines closer than 0.1° are merged.

```
NiP2
1.0
3.171 0.000 0.000
0.000 6.678 0.000
0.000 0.000 7.761
Ni P
4 8
Cartesian
0.000 0.000 0.000
0.000 3.339 3.881
1.585 0.000 3.881
1.585 3.339 0.000
0.000 1.360 2.756
0.000 1.978 6.636
0.000 4.699 1.125
0.000 5.317 5.006
1.585 1.360 1.125
1.585 1.978 5.006
1.585 4.699 2.756
1.585 5.317 6.636
```

The 12 most intense peaks (15° ≤ 2θ ≤ 90°), sorted by position:
hkl, d (Å), two_theta, Rel. int.
0 0 2, 3.881, 22.92, 54.0
0 2 1, 3.067, 29.11, 17.9
1 1 1, 2.687, 33.34, 100.0
0 2 2, 2.531, 35.47, 86.2
1 1 2, 2.305, 39.09, 67.5
1 1 3, 1.920, 47.35, 79.0
1 3 1, 1.774, 51.53, 80.3
0 2 4, 1.678, 54.72, 45.3
2 0 0, 1.585, 58.19, 24.5
2 2 2, 1.344, 70.03, 20.7
2 2 4, 1.152, 83.99, 25.3
1 5 3, 1.111, 87.83, 27.9


This entry pairs a crystal structure of Pm5USb6 with its simulated powder XRD pattern. Radiation: CuKα. Structure: DFT lattice parameters and positions (GGA-PBE).
Neutral-atom scattering factors, no anomalous dispersion.

The 12 most intense peaks (2θ from 10° to 80°), in order of rising 2θ:
- 12.1 deg, I = 1
- 13.8 deg, I = 1
- 15.5 deg, I = 1
- 24.3 deg, I = 2
- 24.4 deg, I = 2
- 28.2 deg, I = 100
- 40.3 deg, I = 77
- 47.7 deg, I = 2
- 49.9 deg, I = 27
- 58.3 deg, I = 13
- 66.0 deg, I = 35
- 73.3 deg, I = 26

Structure:
```
Pm5USb6
1.0
3.8727 -6.7166 0.0000
3.8727 6.7166 0.0000
-2.5849 0.0000 7.3022
Pm U Sb
5 1 6
direct
0.0000 0.0000 0.0000
0.1658 0.8342 0.5000
0.3310 0.6690 0.0000
0.6690 0.3310 0.0000
0.8342 0.1658 0.5000
0.5000 0.5000 0.5000
0.0899 0.4182 0.2534
0.2553 0.2553 0.7475
0.4182 0.0899 0.2534
0.5818 0.9101 0.7466
0.7447 0.7447 0.2525
0.9101 0.5818 0.7466
```
~~~
**The crystal structures stop here:**
I believe in forgiveness. I believe in the family unit. I believe in being honest. I believe that every able person should be able to work to provide for themselves and their family.
I believe in having friends for this is how a man truly shows his worth is by how many genuine friends he makes and keeps. I believe in being respectful. I believe that we should be respectful to our elders for they have so much wisdom that we should take to heart from what they have learned and treat them with the respect that they deserve and have earned.
The piece is interrupted by records of crystals =
-- begin --
Entry 1:
The following is a simulated PXRD pattern of Li3TbMg9. It was derived from the PBE geometry in Alexandria, using a wavelength of 1.5418 Å.
Kinematic intensities with the Lorentz-polarization factor, no thermal factor.

Structure:
Unit cell a=7.790 b=7.790 c=7.740 alpha=96.97 beta=96.97 gamma=138.64
Element x y z (fractional)
Li 0.000 0.000 0.000
Li 0.000 0.500 0.500
Li 0.500 0.000 0.500
Tb 0.500 0.500 0.500
Mg 0.009 0.794 0.291
Mg 0.150 0.504 0.152
Mg 0.206 0.991 0.709
Mg 0.496 0.850 0.848
Mg 0.500 0.500 0.000
Mg 0.504 0.150 0.152
Mg 0.794 0.009 0.291
Mg 0.850 0.496 0.848
Mg 0.991 0.206 0.709

Peak list (6 most intense, 2θ from 10° to 90°, most intense first)
2θ 12.2, rel. 100; 2θ 35.3, rel. 95; 2θ 17.2, rel. 81; 2θ 25.1, rel. 57; 2θ 30.8, rel. 54; 2θ 34.9, rel. 53

Entry 2:
The following is a simulated PXRD pattern of AcHoO4. It was derived from the PBE geometry in Alexandria, using a wavelength of 1.5418 Å.
Kinematic intensities with the Lorentz-polarization factor, no thermal factor.

Structure:
Unit cell a=6.837 b=4.059 c=6.574 alpha=90.00 beta=97.59 gamma=90.00
Element x y z (fractional)
Ac 0.000 0.000 0.000
Ac 0.500 0.500 0.000
Ho 0.108 0.500 0.537
Ho 0.608 0.000 0.537
O 0.146 0.500 0.882
O 0.215 0.000 0.358
O 0.377 0.000 0.220
O 0.448 0.500 0.605
O 0.646 0.000 0.882
O 0.715 0.500 0.358
O 0.877 0.500 0.220
O 0.948 0.000 0.605

Peak list (6 most intense, 2θ from 10° to 90°, most intense first)
2θ 28.2, rel. 100; 2θ 27.4, rel. 46; 2θ 29.9, rel. 44; 2θ 26.3, rel. 34; 2θ 47.8, rel. 28; 2θ 46.0, rel. 23

Entry 3:
The following is a simulated PXRD pattern of La16Dy6Tm7. It was derived from the PBE geometry in Alexandria, using a wavelength of 1.5418 Å.
Kinematic intensities with the Lorentz-polarization factor, no thermal factor.

Structure:
Unit cell a=11.436 b=11.436 c=11.436 alpha=60.00 beta=60.00 gamma=60.00
Element x y z (fractional)
La 0.058 0.647 0.647
La 0.125 0.125 0.125
La 0.125 0.125 0.624
La 0.125 0.624 0.125
La 0.353 0.353 0.353
La 0.353 0.353 0.942
La 0.353 0.942 0.353
La 0.376 0.875 0.875
La 0.624 0.125 0.125
La 0.647 0.058 0.647
La 0.647 0.647 0.058
La 0.647 0.647 0.647
La 0.875 0.376 0.875
La 0.875 0.875 0.376
La 0.875 0.875 0.875
La 0.942 0.353 0.353
Dy 0.259 0.259 0.741
Dy 0.259 0.741 0.259
Dy 0.259 0.741 0.741
Dy 0.741 0.259 0.259
Dy 0.741 0.259 0.741
Dy 0.741 0.741 0.259
Tm 0.000 0.000 0.000
Tm 0.000 0.000 0.500
Tm 0.000 0.500 0.000
Tm 0.000 0.500 0.500
Tm 0.500 0.000 0.000
Tm 0.500 0.000 0.500
Tm 0.500 0.500 0.000

Peak list (6 most intense, 2θ from 10° to 90°, most intense first)
2θ 31.3, rel. 100; 2θ 55.7, rel. 30; 2θ 44.8, rel. 16; 2θ 74.2, rel. 10; 2θ 65.3, rel. 9; 2θ 27.0, rel. 6

Entry 4:
The following is a simulated PXRD pattern of SrCa9Ac4. It was derived from the PBE geometry in Alexandria, using a wavelength of 1.5418 Å.
Kinematic intensities with the Lorentz-polarization factor, no thermal factor.

Structure:
Unit cell a=10.982 b=10.982 c=12.494 alpha=90.00 beta=90.00 gamma=120.00
-- stop --
I believe that our Heavenly Father is real and that he loves us and has provided a plan of happiness and that if we really follow his plan we will truly be happy. I believe in the Ten Commandments. I believe in the Bible and the Book of Mormon and in Jesus Christ and the Holy Ghost. I believe in serving a mission. I believe in service to others and helping the community for when we are in the service of our fellow man or woman we are in the service of our Lord. I believe in heaven and all its glory and how we will feel truly happy when we are in the presence of the Lord our Savior.
I believe in free speech no matter what your opinion is. I believe in love and all the happiness it can bring. I believe that God has provided rain and all the goodness it brings to the world and how it just refreshes the earth and makes it feel clean again.
These are the main things that I truly believe in and I hold close to my heart. I hope that everyone who believes will always believe in themselves first because we must believe in ourselves first to have the confidence needed to help others. This is what can bring lasting happiness, to think about others first and serve them.